Jasper Jones

Jasper Jones Themes


As Charlie notes, "For some folks, it's easier to condemn another man than have the strength to right your wrongs" (213). Every society has its scapegoat, to whom they transfer their collective guilt in order to unload their own culpability. Jasper Jones becomes the perfect scapegoat, as he represents the stereotypical “bad boy.” But Jasper himself is not innocent in this regard, creating a scapegoat for himself in the person of Mad Jack. Likewise, Jeffrey and his family are also scapegoated and alienated in Corrigan due to their Vietnamese heritage. The novel is set in the hight of the Vietnam war. Mrs. Lu is attacked by another member of the community, who blames her for the death of her son who died in the war. Mr. Lu is also attacked and called racial slurs by Corrigan townspeople. This seeming need for scapegoats underlines one of Jasper Jones' main themes: the problem of culpability and how individuals and society bear blame.

When Jasper takes him to see Laura's body at the beginning of the novel, Charlie himself has to deal with this question. He is terrified of the situation he has found himself in, but feels irrevocably involved once he has helped Jasper throw Laura's body into the dam. He wonders about whether one can be closer or further away from a wrong, and how that affects culpability. Discussing the Vietnam War, he says it's hard to know who to blame since it is so far away, and "the less you know, the further away you are, the easier it is to shrug and tut and move on" (126). Furthermore, Jasper and Eliza both feel culpable for Laura's death, although the only two people who had a hand in the death were Laura and Mr. Wishart. Their love for Laura and proximity to her situation causes them to feel as though they could have saved her from her eventual fate.


The theme of courage is central to Jasper Jones, and the book as a whole can be framed as the story of how Charlie learns to be courageous. In many ways, Jasper is a model of courageous behavior for Charlie. When the boys hang out for the first time, Jasper tells Charlie: "You got to get brave" (23). Charlie adopts this phrase and repeats it to himself many times throughout the novel, as when he sits still even though he is terrified of the spider that is on him, and when he lies to his parents about where he has been all night. What Charlie perceives in himself as a cowardly nature causes him a lot of self-hatred, and he gets angry at himself when he is too timid to stand up for either Eliza or Jeffery when they are targeted by neighborhood bullies. At the end of the novel, Charlie undergoes two key realizations. The first is that Jasper Jones gets just as afraid as anyone else and that his bravery is nothing more than a poker face. The second is that he, too, can wear this poker face, and he does when he retrieves five bug-infested peaches from Jack Lionel's front yard.

The Law and Justice

Charlie puts his faith in the law as the means of arriving at justice. The much wiser Jasper—no stranger to viewing things through a more sophisticated prism of morality—understands that the legal system does not always ensure that justice is served; especially when arriving at justice requires that law enforcement put faith in the figure chosen as the scapegoat by society. Once local policemen question Jasper without any proof, and beat him over the course of a weekend, Charlie begins to wisen up to the true nature of the police. And although Charlie expects that legal remedy will be found and Laura's killer will be punished, he comes to realize that this is not always a possibility.

Similarly, Eliza commits arson at the end of the novel in retribution for her father's crimes against Laura. As the events are portrayed through Charlie's point of view, when her actions are framed in a positive light—despite the fact that she is breaking the law—we see the change in Charlie's perspective about the relation between law and justice. On the other side, the audience feels a sense of justice in seeing her father being punished, who previously, despite being perceived as an "upstanding" member of society, is a vile person who raped and abused his own daughter and unfairly targeted Jasper.

Discovery and Truth

The initial discovery of Laura Wishart's body is the catalyst for the events of the novel. This revelation has a profound impact on Charlie and changes his outlook on the world for the worse: he feels "like I’m underwater. Deaf and drowning" (9). Once Charlie learns what really happened on the night of Laura’s murder, he still feels equally distressed, believing that if he had not followed Jasper Jones, he “would have stayed safe in my room…None the wiser. Much the lighter. I’d never have known this awful brick in my stomach" (268).

Charlie also learns the truth about his mother Ruth's affair. Throughout the novel, Ruth is a domineering and vindictive figure, however, the revealed truth forces their relationship to change: Charlie now has power over her, and their roles switch. Jasper discovers the truth of his connection to Mad Jack. It is revealed that Mad Jack is really Jasper's grandfather, which forces him to reassess his previous attitudes towards both Jack and his mother, who he never knew. Charlie learns about his father's book. The Wishart family learns how Laura died.

**Data records, as found in the file**
Record 1
Entry from the OMol25 dataset: one molecule with the formula C17H24BrN5O3S (wB97M-V/def2-TZVPD).

```
51
Properties=species:S:1:pos:R:3:forces:R:3:mulliken_charge:R:1
C -1.9081 -2.1929 -2.2215 -0.21 -0.16 -0.07 -0.938
O -0.7863 -1.4200 -1.8691 0.32 0.38 0.11 -0.417
C -0.9789 -0.1534 -1.4057 0.12 0.01 0.01 1.135
C -2.2204 0.4607 -1.3186 0.07 -0.03 -0.13 -0.569
C -2.3617 1.7614 -0.8456 0.11 0.08 -0.18 0.346
C -3.7364 2.2955 -0.5556 0.27 -0.29 -0.06 -1.397
N -4.1918 1.8844 0.7849 -0.31 0.41 0.31 -0.903
N -4.1810 0.5114 0.9544 0.46 -0.81 0.19 0.612
C -5.1583 -0.3667 0.5650 -0.05 -0.16 0.13 1.258
C -6.4066 0.0561 -0.1034 -0.04 -0.03 -0.05 -1.316
N -4.8263 -1.5817 0.8665 -0.70 -0.37 -0.33 -0.836
N -3.6118 -1.4985 1.4670 -0.07 0.99 -0.18 0.304
C -3.1696 -0.2202 1.5444 0.09 -0.12 0.06 -0.187
S -1.7863 0.3662 2.2027 0.55 0.17 0.47 -0.335
C -1.2361 2.4862 -0.4936 -0.10 -0.12 -0.17 -0.931
C -0.0019 1.8759 -0.5794 0.22 -0.14 -0.08 -0.032
Br 1.5591 2.8226 -0.0905 -0.06 0.22 0.09 -0.234
C 0.1648 0.5600 -0.9985 -0.12 0.17 0.13 0.642
O 1.4390 0.0940 -1.0233 -0.22 -0.02 -0.34 -0.567
C 1.6956 -1.2637 -0.7176 0.19 -0.72 0.15 0.107
C 3.0922 -1.4345 -0.0956 -0.69 0.33 -0.35 0.143
O 3.5184 -2.5528 0.1152 0.06 -0.37 0.05 -0.684
N 3.7169 -0.2859 0.1746 0.16 0.59 0.04 0.037
C 5.0318 -0.1505 0.8001 0.24 -0.20 0.13 1.504
C 4.9925 -0.7830 2.1934 0.00 0.03 -0.17 -1.698
C 5.3252 1.3450 0.8999 -0.08 -0.25 -0.04 -1.784
C 6.0807 -0.8467 -0.0702 -0.14 0.04 0.11 -1.699
H -1.5097 -3.1640 -2.5098 -0.08 0.04 0.00 0.282
H -2.5947 -2.3206 -1.3781 0.01 0.04 -0.02 0.345
H -2.4463 -1.7573 -3.0693 0.01 -0.01 0.05 0.344
H -3.1042 -0.0802 -1.6213 -0.08 -0.10 -0.03 0.433
H -3.7537 3.3853 -0.5599 -0.05 -0.04 -0.03 0.481
H -4.4659 1.9248 -1.2796 0.03 0.12 -0.01 0.341
H -3.5493 2.2629 1.4860 -0.13 -0.24 -0.03 0.291
H -7.1845 -0.6750 0.0941 -0.04 -0.01 0.00 0.393
H -6.2632 0.1216 -1.1818 -0.02 0.05 -0.05 0.235
H -6.7013 1.0346 0.2687 -0.07 0.03 -0.01 0.360
H -3.1615 -2.3156 1.8441 0.01 0.16 0.00 0.178
H -1.3166 3.4976 -0.1269 0.01 0.10 0.05 0.403
H 0.9696 -1.6470 0.0074 0.09 0.06 -0.06 0.273
H 1.6425 -1.8855 -1.6175 0.06 0.10 0.20 0.291
H 3.2371 0.5706 -0.0595 -0.14 -0.11 -0.04 0.123
H 4.7434 -1.8370 2.1093 0.00 -0.08 0.04 0.409
H 5.9600 -0.6863 2.6780 0.14 0.02 0.08 0.428
H 4.2409 -0.2929 2.8082 -0.07 0.06 0.08 0.380
H 6.2919 1.5045 1.3693 0.10 0.01 0.05 0.444
H 4.5648 1.8461 1.4948 -0.09 0.07 0.11 0.383
H 5.3422 1.7984 -0.0886 0.03 0.07 -0.14 0.404
H 5.8350 -1.9004 -0.1659 0.03 -0.07 -0.02 0.409
H 7.0647 -0.7525 0.3808 0.15 0.03 0.06 0.426
H 6.1042 -0.4007 -1.0620 0.02 0.06 -0.11 0.382
```
Forces are in eV/Å.

The total charge is 0. Its HOMO energy is -8.11 eV. The LUMO energy is 0.49 eV. The maximum force comes out at 1.01 eV Å⁻¹. The calculation puts the energy above the lowest of the compared OMol25 structures with the same formula, charge and spin at 0.0 kJ/mol. The structure (SMILES) is COc1cc(CNn2c(C)n[nH]c2=S)cc(Br)c1OCC(=O)NC(C)(C)C.


Record 2
**Here the article continues**

But there are also other moments in the novel in which the truth doesn't come to light. Charlie never tells Jeffery about what occurred between him and Jasper, and so he doesn't know that Mad Jack isn't dangerous once the other boy attempts to retrieve peaches from his lawn. And although Eliza tells her mother what happened to Laura on the night she died, her mother decides to keep Laura's abuse at the hands of her father a secret, so no one else in the town ever learns the truth about Laura's disappearance.

Trust and Honesty

Trust is an important element in the relationships in Charlie's life. Although he comes to understand that Jasper was so desperate that he would have confided in anyone the night he found Laura's dead body, at the beginning of the novel Charlie is made to believe that he uniquely held Jasper's trust. Some part of Charlie's nature makes Jasper believe that he could trust him. Charlie believes it is the fact that he reads so much, as it makes him seem open-minded. He wonders if he is the only person in Corrigan who would have trusted Jasper as he did on that first night, and, in truth, he maintains a blind trust in Jasper throughout the summer. This is due, in part, to Jasper's honest nature.

Trust is also a component of Charlie's relationship with his parents. He threatens their trust in him as a good, untroublesome kid when he persists in sneaking out of the house despite the curfew. He is able to earn back this trust from his father when his father sees him kissing Eliza at the cricket game, but his relationship with his mother never recovers. At the end of the novel, Charlie learns he can't trust his mother when he finds her cheating on his father, and the power dynamic in their relationship shifts. Eliza and Charlie must also learn to trust each other, as each has information that the other needs to know, but they don't share it with each other for a long time. Eliza is worried she is culpable for her sister's death, and Charlie is worried that Eliza will hate him for his involvement in the hiding of her body. Once they share these truths with each other, they are able to trust each other and build a relationship.

Loss of Innocence

-- Unrelated to this page: quantum chemistry results --
~~~
No. 1
This record from the Open Molecules 2025 dataset describes a cluster of 17 separate species, C39H64N16O3S in total. The level of theory is wB97M-V/def2-TZVPD.

Each line ends with the Mulliken charge.
Positions of all 123 atoms, in Å:
1 C -3.585 0.571 0.974  -0.8989
2 C -4.041 -0.885 0.993  -0.0983
3 C -2.989 -1.942 1.423  -1.1864
4 C -1.610 -1.443 1.794  0.1666
5 C -0.720 -1.159 0.573  -0.6640
6 C 0.439 -0.247 0.983  1.0346
7 C 0.222 1.221 0.710  -0.6216
8 O -0.362 1.558 -0.580  -0.1251
9 S 0.577 1.560 -1.865  0.2891
10 O 1.939 1.370 -1.435  -0.4741
11 O 0.102 0.146 -2.524  -0.4429
12 H -2.986 0.853 1.829  0.2056
13 H -4.476 1.195 1.014  0.5272
14 H -3.101 0.828 0.035  0.0129
15 H -4.387 -1.138 -0.006  -0.0101
16 H -4.910 -0.959 1.636  0.3514
17 H -3.391 -2.468 2.287  0.2901
18 H -2.908 -2.696 0.644  0.4899
19 H -1.624 -0.593 2.470  0.2474
20 H -1.122 -2.232 2.358  -0.1543
21 H -0.284 -2.095 0.245  0.3813
22 H -1.335 -0.723 -0.206  0.4868
23 H 0.575 -0.306 2.060  0.0944
24 H 1.379 -0.580 0.546  -0.9561
25 H 1.110 1.812 0.874  0.2139
26 H -0.513 1.564 1.432  0.4556
27 H -0.001 0.310 -3.473  0.3334
28 C -2.310 -1.681 5.721  -0.7553
29 C -2.869 -0.527 5.037  0.4647
30 N -3.276 0.379 4.463  -0.4523
31 H -1.223 -1.626 5.725  0.1617
32 H -2.663 -1.727 6.750  0.3765
33 H -2.594 -2.599 5.210  0.2320
34 C -5.226 1.347 -2.464  -0.5769
35 C -6.192 0.660 -1.626  0.3734
36 N -6.963 0.107 -0.979  -0.4983
37 H -5.593 1.429 -3.489  0.2580
38 H -5.030 2.350 -2.091  0.3353
39 H -4.282 0.802 -2.480  0.1453
40 C 3.913 1.289 2.675  -0.6400
41 C 3.021 0.480 3.485  0.4753
42 N 2.330 -0.165 4.137  -0.5246
43 H 4.910 0.848 2.658  0.3630
44 H 3.556 1.360 1.648  0.0873
45 H 3.998 2.293 3.078  0.1671
46 C 0.362 -6.015 2.430  -0.9715
47 C -0.227 -4.892 3.135  0.4577
48 N -0.644 -3.988 3.706  -0.4153
49 H 0.086 -5.991 1.380  0.2891
50 H 1.447 -5.961 2.487  0.2463
51 H 0.037 -6.961 2.860  0.3696
52 C 2.478 -3.295 4.993  0.0979
53 C 3.420 -3.864 4.046  0.3658
54 N 4.170 -4.309 3.298  -0.5178
55 H 1.612 -3.940 5.124  0.2383
56 H 2.938 -3.149 5.970  -0.0338
57 H 2.116 -2.327 4.646  -0.1163
58 C 3.847 0.694 -3.852  -0.4021
59 C 4.681 0.214 -4.943  0.0876
60 N 5.336 -0.168 -5.804  -0.3464
61 H 2.998 0.034 -3.687  0.1327
62 H 4.409 0.747 -2.922  0.2289
63 H 3.463 1.690 -4.063  0.3007
64 C -1.105 4.636 1.152  -0.0740
65 C -1.446 6.037 0.970  0.1369
66 N -1.714 7.144 0.829  -0.3988
67 H -1.237 4.084 0.222  0.1334
68 H -0.065 4.534 1.467  -0.0748
69 H -1.741 4.176 1.907  0.3236
70 C 3.596 5.151 0.523  -1.0944
71 C 2.693 4.343 1.323  0.6120
72 N 1.976 3.706 1.954  -0.5269
73 H 4.591 4.709 0.510  0.3138
74 H 3.235 5.222 -0.501  0.2874
75 H 3.670 6.156 0.934  0.3480
76 C -4.635 -0.126 -6.914  -0.4760
77 C -4.907 1.074 -6.139  0.4615
78 N -5.121 2.047 -5.567  -0.4994
79 H -5.065 -0.052 -7.912  0.2624
80 H -3.564 -0.284 -7.018  0.2898
81 H -5.059 -1.003 -6.428  -0.0379
82 C 3.405 -2.542 -0.777  -0.7271
83 C 2.436 -3.421 -0.150  0.3957
84 N 1.675 -4.118 0.348  -0.3425
~~~

Jasper Jones is fundamentally a coming-of-age story, and in it, we see the main characters shed their child-like innocence and wisen up to the darker realities of life. We see Charlie learn how to smoke and drink with Jasper's influence. Although at the beginning he never accepts the other boy's cigarettes, by the end of the novel he accepts one and takes a long drag. He also drinks with Jasper on the night that they dispose of Laura's body, and although he hates it, the more times he repeats this action the more he begins to realize why people choose to drunk. The knowledge of Laura's death has stolen something vital from both Charlie ("The night has pick-pocketed me of precious things that I can't ever get back" (32)) and Jasper ("It's like somethin's bin ripped right out of me" (34)).

And after learning of Laura's death, Charlie is more rebellious than ever. He resists his parent's efforts to protect him, curses at his mother for the first time and becomes more and more disillusioned about their characters. He practices his lying skills and can convincingly lie to the police the second time he is caught sneaking out, even though he considered himself to be a poor liar before. After An Lu is attacked, Charlie's father serves him a glass of port, as if to signify that seeing his neighbor brutalized is a step toward adulthood. This loss of innocence also brings about positive change in Charlie. He learns how to manage his mother, acting diplomatically instead of emotionally in response to her demands. He also learns to stand up for his friends, particularly Jeffery Lu, against bullies. He learns not to trust Corrigan's rumor mill, and eventually is able to use it to his own advantage.


Power, especially the power that children have over the adults in their lives, is key. Charlie often feels powerless in his relationship with his mother, who exerts her influence over her son whenever possible. He is frustrated by the fact that she always wins whatever altercation the two find themselves in. This makes him resent her. At the end of the novel, when Charlie sees his mother for who she is, he is able to gain some power over her. He is able to finally claim his independence.

The police have a power over Corrigan that is similar to the power that Charlie's mother has over him. When they collude with town officials in order to commit crimes, like the extrajudicial apprehension of Jasper, and get away with it, they transgress their appointed roles in society. Another figure who violates their legitimate role is Mr. Wishart, who uses his role as city counselor to participate in Jasper's beating. He also uses his power in order to hide his alcoholism and the terror happening inside his own home. Mr. Wishart abuses his daughter, and by doing so violates one of the most sacred relationships known to humans. This is what eventually kills Laura. At the end of the novel, Eliza regains power over her father by setting their home on fire.